Return all of the listing underneath with every line break kept.

/*
The following is a quantum chemistry calculation of CH29CuO17 as an isolated structure, from the OMol25 dataset.

The geometry in XYZ format:
```
48
Properties=species:S:1:pos:R:3:nbo_charge:R:1
Cu 0.119 -2.745 -1.251 1.64
C 0.286 0.236 -0.456 1.03
O -0.216 -0.873 -0.724 -0.83
O 1.109 0.325 0.614 -0.74
O 0.176 1.236 -1.188 -0.76
H 1.208 -0.488 1.198 0.54
O -3.167 -1.146 1.341 -0.97
H -2.733 -1.012 0.472 0.48
H -3.202 -0.310 1.763 0.50
O 0.258 3.043 0.683 -1.00
H 0.462 2.312 0.039 0.48
H 0.591 3.845 0.257 0.49
O 2.940 1.886 2.091 -0.95
H 2.319 1.126 1.889 0.47
H 3.576 1.847 1.396 0.47
O -3.077 -0.710 -1.560 -0.98
H -3.834 -0.758 -2.132 0.48
H -2.890 0.248 -1.574 0.50
O -0.303 0.276 -3.676 -0.98
H -0.290 0.434 -2.728 0.49
H -1.105 0.656 -4.052 0.48
O -0.593 -1.328 2.542 -1.02
H -1.453 -1.227 2.125 0.51
H -0.203 -0.445 2.513 0.48
O 2.538 2.018 -2.196 -0.97
H 1.648 1.802 -1.793 0.47
H 2.274 2.074 -3.141 0.47
O -0.932 -2.476 -3.089 -1.00
H -0.927 -3.056 -3.807 0.51
H -1.344 -1.617 -3.377 0.56
O -2.468 1.984 -1.096 -0.98
H -2.284 2.774 -0.591 0.50
H -1.580 1.614 -1.185 0.47
O -2.068 1.296 2.056 -0.96
H -1.279 1.248 2.569 0.49
H -1.841 1.522 1.187 0.46
O 0.336 1.463 3.082 -1.01
H 0.478 2.108 2.355 0.52
H 1.120 1.558 3.625 0.51
O 2.074 -1.413 2.760 -0.98
H 2.789 -1.925 3.163 0.51
H 1.228 -1.827 2.927 0.51
O 0.959 -2.953 0.689 -1.02
H 0.380 -3.523 1.246 0.52
H 1.668 -2.617 1.301 0.54
O 1.994 -2.191 -2.071 -1.01
H 2.644 -1.423 -1.885 0.55
H 2.591 -2.887 -2.288 0.50
```

Computed properties:
**E_tot**: -2974.8049 Ha
**Multiplicity**: 2
**Lowest unoccupied orbital energy (alpha / beta)**: -0.191 / -0.297 hartree
**Frontier orbital gap (alpha / beta)**: 0.29952 / 0.19347 Eh
**Charge**: +1
**Energy above the lowest of the compared OMol25 structures with the same formula, charge and spin**: 0.0 kJ/mol
**Molecular weight**: 376.8 g mol⁻¹

* * * * *

Record 1
This record from the OMol25 dataset describes the molecule C6H11N. The level of theory is the ωB97M-V functional and the def2-TZVPD basis.

Values from the calculation:
Frontier orbital gap in eV: 7.756
Net charge: 0
SMILES: C/C=C/C=C/NC

The geometry in XYZ format:
```
18
Properties=species:S:1:pos:R:3:forces:R:3:nbo_charge:R:1
C 0.77815 0.07370 -3.13863 4.4 1.6 3.5 -0.670
C 1.01782 -0.14765 -1.55080 0.0 -0.1 -2.1 -0.258
C 1.23175 0.96278 -0.80253 0.3 0.9 1.7 -0.209
C 0.62468 1.07149 0.56575 -0.5 -2.5 -0.7 -0.402
C -0.49062 0.23583 0.77441 2.3 -0.6 -0.7 0.082
N -1.01301 0.05144 1.99049 -1.3 1.4 1.7 -0.596
C -1.81025 -1.10862 2.47494 1.5 1.9 0.5 -0.406
H -0.26300 0.26818 -3.44987 0.7 -0.8 0.0 0.232
H 1.34066 1.15578 -3.10043 -1.3 -2.3 -1.1 0.201
H 1.51332 -0.70803 -3.51426 -1.7 1.0 -0.9 0.222
H 1.36114 -1.12757 -1.14291 -1.6 0.4 -0.1 0.205
H 1.93274 1.74584 -1.21136 -1.7 0.0 0.2 0.191
H 1.11130 1.34582 1.51867 -0.1 0.7 -0.9 0.203
H -0.78986 -0.55572 0.04771 -0.1 1.3 0.1 0.206
H -0.78623 0.79327 2.66524 -0.2 -0.9 -0.4 0.385
H -1.92018 -0.91561 3.56716 -0.2 -0.5 -0.9 0.210
H -1.07241 -1.86228 2.31954 -0.3 -1.6 0.2 0.202
H -2.76601 -1.27866 1.98689 0.1 0.1 -0.1 0.203
```
Forces are in eV/Å.


Record 2
This record from the OMol25 dataset describes the molecule C6H11N. The level of theory is the ωB97M-V functional and the def2-TZVPD basis.

Values from the calculation:
Frontier orbital gap in eV: 8.704
Net charge: 0
SMILES: C=CC(N)=C(C)C

The geometry in XYZ format:
```
18
Properties=species:S:1:pos:R:3:forces:R:3:nbo_charge:R:1
C 2.30298 -1.48300 0.62460 -0.3 -0.5 0.1 -0.393
C 1.01623 -1.24040 0.40437 0.1 0.6 -0.1 -0.210
C 0.45331 0.11681 0.22825 -0.4 0.2 0.2 0.112
N 1.11359 1.16207 0.92481 0.5 0.1 -0.3 -0.814
C -0.75657 0.31645 -0.31667 -0.1 -0.1 -0.2 -0.037
C -1.53108 1.58315 -0.14947 -0.6 0.4 -0.3 -0.637
C -1.46679 -0.77604 -1.06816 0.6 -0.3 0.2 -0.634
H 2.60491 -2.46422 0.97623 0.2 0.1 -0.3 0.205
H 3.05023 -0.71741 0.47967 0.2 0.0 0.2 0.185
H 0.28139 -2.03464 0.45694 0.1 -0.1 0.1 0.208
H 2.08299 0.94217 1.10057 -0.1 -0.1 0.2 0.366
H 1.10704 2.04092 0.42143 -0.2 -0.1 0.0 0.367
*/

The following is a quantum chemistry calculation of CH29CuO17 as an isolated structure, from the OMol25 dataset.

The geometry in XYZ format:
```
48
Properties=species:S:1:pos:R:3:nbo_charge:R:1
Cu 0.119 -2.745 -1.251 1.64
C 0.286 0.236 -0.456 1.03
O -0.216 -0.873 -0.724 -0.83
O 1.109 0.325 0.614 -0.74
O 0.176 1.236 -1.188 -0.76
H 1.208 -0.488 1.198 0.54
O -3.167 -1.146 1.341 -0.97
H -2.733 -1.012 0.472 0.48
H -3.202 -0.310 1.763 0.50
O 0.258 3.043 0.683 -1.00
H 0.462 2.312 0.039 0.48
H 0.591 3.845 0.257 0.49
O 2.940 1.886 2.091 -0.95
H 2.319 1.126 1.889 0.47
H 3.576 1.847 1.396 0.47
O -3.077 -0.710 -1.560 -0.98
H -3.834 -0.758 -2.132 0.48
H -2.890 0.248 -1.574 0.50
O -0.303 0.276 -3.676 -0.98
H -0.290 0.434 -2.728 0.49
H -1.105 0.656 -4.052 0.48
O -0.593 -1.328 2.542 -1.02
H -1.453 -1.227 2.125 0.51
H -0.203 -0.445 2.513 0.48
O 2.538 2.018 -2.196 -0.97
H 1.648 1.802 -1.793 0.47
H 2.274 2.074 -3.141 0.47
O -0.932 -2.476 -3.089 -1.00
H -0.927 -3.056 -3.807 0.51
H -1.344 -1.617 -3.377 0.56
O -2.468 1.984 -1.096 -0.98
H -2.284 2.774 -0.591 0.50
H -1.580 1.614 -1.185 0.47
O -2.068 1.296 2.056 -0.96
H -1.279 1.248 2.569 0.49
H -1.841 1.522 1.187 0.46
O 0.336 1.463 3.082 -1.01
H 0.478 2.108 2.355 0.52
H 1.120 1.558 3.625 0.51
O 2.074 -1.413 2.760 -0.98
H 2.789 -1.925 3.163 0.51
H 1.228 -1.827 2.927 0.51
O 0.959 -2.953 0.689 -1.02
H 0.380 -3.523 1.246 0.52
H 1.668 -2.617 1.301 0.54
O 1.994 -2.191 -2.071 -1.01
H 2.644 -1.423 -1.885 0.55
H 2.591 -2.887 -2.288 0.50
```

Computed properties:
**E_tot**: -2974.8049 Ha
**Multiplicity**: 2
**Lowest unoccupied orbital energy (alpha / beta)**: -0.191 / -0.297 hartree
**Frontier orbital gap (alpha / beta)**: 0.29952 / 0.19347 Eh
**Charge**: +1
**Energy above the lowest of the compared OMol25 structures with the same formula, charge and spin**: 0.0 kJ/mol
**Molecular weight**: 376.8 g mol⁻¹

* * * * *

Record 1
This record from the OMol25 dataset describes the molecule C6H11N. The level of theory is the ωB97M-V functional and the def2-TZVPD basis.

Values from the calculation:
Frontier orbital gap in eV: 7.756
Net charge: 0
SMILES: C/C=C/C=C/NC

The geometry in XYZ format:
```
18
Properties=species:S:1:pos:R:3:forces:R:3:nbo_charge:R:1
C 0.77815 0.07370 -3.13863 4.4 1.6 3.5 -0.670
C 1.01782 -0.14765 -1.55080 0.0 -0.1 -2.1 -0.258
C 1.23175 0.96278 -0.80253 0.3 0.9 1.7 -0.209
C 0.62468 1.07149 0.56575 -0.5 -2.5 -0.7 -0.402
C -0.49062 0.23583 0.77441 2.3 -0.6 -0.7 0.082
N -1.01301 0.05144 1.99049 -1.3 1.4 1.7 -0.596
C -1.81025 -1.10862 2.47494 1.5 1.9 0.5 -0.406
H -0.26300 0.26818 -3.44987 0.7 -0.8 0.0 0.232
H 1.34066 1.15578 -3.10043 -1.3 -2.3 -1.1 0.201
H 1.51332 -0.70803 -3.51426 -1.7 1.0 -0.9 0.222
H 1.36114 -1.12757 -1.14291 -1.6 0.4 -0.1 0.205
H 1.93274 1.74584 -1.21136 -1.7 0.0 0.2 0.191
H 1.11130 1.34582 1.51867 -0.1 0.7 -0.9 0.203
H -0.78986 -0.55572 0.04771 -0.1 1.3 0.1 0.206
H -0.78623 0.79327 2.66524 -0.2 -0.9 -0.4 0.385
H -1.92018 -0.91561 3.56716 -0.2 -0.5 -0.9 0.210
H -1.07241 -1.86228 2.31954 -0.3 -1.6 0.2 0.202
H -2.76601 -1.27866 1.98689 0.1 0.1 -0.1 0.203
```
Forces are in eV/Å.


Record 2
This record from the OMol25 dataset describes the molecule C6H11N. The level of theory is the ωB97M-V functional and the def2-TZVPD basis.

Values from the calculation:
Frontier orbital gap in eV: 8.704
Net charge: 0
SMILES: C=CC(N)=C(C)C

The geometry in XYZ format:
```
18
Properties=species:S:1:pos:R:3:forces:R:3:nbo_charge:R:1
C 2.30298 -1.48300 0.62460 -0.3 -0.5 0.1 -0.393
C 1.01623 -1.24040 0.40437 0.1 0.6 -0.1 -0.210
C 0.45331 0.11681 0.22825 -0.4 0.2 0.2 0.112
N 1.11359 1.16207 0.92481 0.5 0.1 -0.3 -0.814
C -0.75657 0.31645 -0.31667 -0.1 -0.1 -0.2 -0.037
C -1.53108 1.58315 -0.14947 -0.6 0.4 -0.3 -0.637
C -1.46679 -0.77604 -1.06816 0.6 -0.3 0.2 -0.634
H 2.60491 -2.46422 0.97623 0.2 0.1 -0.3 0.205
H 3.05023 -0.71741 0.47967 0.2 0.0 0.2 0.185
H 0.28139 -2.03464 0.45694 0.1 -0.1 0.1 0.208
H 2.08299 0.94217 1.10057 -0.1 -0.1 0.2 0.366
H 1.10704 2.04092 0.42143 -0.2 -0.1 0.0 0.367